Hey Hey!

Attached: data records:
~~~
Density functional theory data (PBE) for a geometry-optimized MgCu2TeO12 structure.

Lattice parameters (Å, degrees): 5.2885 5.2885 8.5871 90.00 90.00 120.00
Closest atoms and distances in Å follow each position.
Sites, in units of the cell vectors:
Mg  0.0000  0.0000  0.5000  6 O 2.30
Cu  0.6667  0.3333  0.0000  6 O 2.08
Cu  0.3333  0.6667  0.0000  6 O 2.08
Te  0.0000  0.0000  0.0000  6 O 1.97
O  0.5756  0.5756  0.5588  1 O 1.29
O  0.4244  0.4244  0.4412  1 O 1.29
O  0.0000  0.4244  0.5588  1 O 1.29
O  0.0000  0.5756  0.4412  1 O 1.29
O  0.4244  0.0000  0.5588  1 O 1.29
O  0.5756  0.0000  0.4412  1 O 1.29
O  0.6824  0.6824  0.8808  1 Te 1.97, 2 Cu 2.08
O  0.3176  0.3176  0.1192  1 Te 1.97, 2 Cu 2.08
O  0.0000  0.3176  0.8808  1 Te 1.97, 2 Cu 2.08
O  0.0000  0.6824  0.1192  1 Te 1.97, 2 Cu 2.08
O  0.3176  0.0000  0.8808  1 Te 1.97, 2 Cu 2.08
O  0.6824  0.0000  0.1192  1 Te 1.97, 2 Cu 2.08

Summary:
Crystal system   trigonal
Calculated total energy   -0.182 Ha/atom
Spin magnetization   0.50 μB/atom

Density functional theory data (PBE) for a geometry-optimized MgCu2Te2O8 structure.

Lattice parameters (Å, degrees): 6.2266 6.4802 6.7490 49.98 62.49 61.30
Closest atoms and distances in Å follow each position.
Sites, in units of the cell vectors:
Mg  0.0000  0.0000  0.5000  6 O 2.20-2.25
Cu  0.5000  0.0000  0.5000  4 O 2.04
Cu  0.5000  0.5000  0.0000  4 O 2.14
Te  0.0000  0.5000  0.5000  6 O 2.00-2.06
Te  0.5000  0.5000  0.5000  6 O 2.00-2.06
O  0.2131  0.2973  0.3124  1 Te 2.00, 2 Cu 2.04-2.14, 1 Mg 2.20
O  0.2523  0.2657  0.7300  2 Te 2.02-2.03
O  0.2198  0.7692  0.2920  2 Te 2.06, 1 Mg 2.24
O  0.6772  0.2976  0.3124  1 Te 2.00, 2 Cu 2.04-2.14, 1 Mg 2.20
O  0.3228  0.7024  0.6876  1 Te 2.00, 2 Cu 2.04-2.14, 1 Mg 2.20
O  0.7477  0.7343  0.2700  2 Te 2.02-2.03
O  0.7802  0.2308  0.7080  2 Te 2.06, 1 Mg 2.25
O  0.7869  0.7027  0.6876  1 Te 2.00, 2 Cu 2.04-2.14, 1 Mg 2.20

Summary:
Energy above the most stable polymorph in this dataset   108 meV per atom
Crystal system   triclinic
Spin magnetization   0.00 μB/atom

Density functional theory data (PBE) for a geometry-optimized MgCu2Te2O8 structure.

Lattice parameters (Å, degrees): 6.2737 6.5423 6.6716 49.53 64.63 60.59
Closest atoms and distances in Å follow each position.
Sites, in units of the cell vectors:
Mg  0.0000  0.0000  0.5000  4 O 2.12-2.16
Cu  0.5000  0.0000  0.5000  4 O 1.97-2.01
Cu  0.5000  0.5000  0.0000  4 O 2.01-2.09
Te  0.0000  0.5000  0.5000  6 O 1.94-2.01
Te  0.5000  0.5000  0.5000  6 O 2.15-2.19
O  0.2210  0.3199  0.2950  1 Te 2.01, 2 Cu 2.01-2.09
O  0.2437  0.2563  0.7360  2 Te 1.94-2.17
O  0.1710  0.7849  0.3053  2 Te 1.98-2.19, 1 Mg 2.12
O  0.6756  0.2769  0.3088  2 Cu 1.97-2.01, 1 Te 2.15, 1 Mg 2.16
O  0.3244  0.7231  0.6912  2 Cu 1.97-2.01, 1 Te 2.15, 1 Mg 2.16
O  0.7563  0.7437  0.2640  2 Te 1.94-2.17
O  0.8290  0.2151  0.6947  2 Te 1.98-2.19, 1 Mg 2.12
O  0.7790  0.6801  0.7050  1 Te 2.01, 2 Cu 2.01-2.09

Summary:
~~~

Have you ever thought about there being a perimeter to your ability?

By that I mean given the resources you have to hand: time, money etc – you find yourself unable to progress towards completion of a goal or stage. It’s almost as though there is an edge to what is achievable.

A client asked me today how I was doing with a certain project. And that was my answer “To be honest, I think I have hit the perimeter of my ability”.

And we both got it.

We both understood what I meant.

Even more interestingly, as one we both visualised what our particular perimeters looked like.

As far as visuals go, they looked surprisingly similar. 

Both of us mentioned the high, high posts. Theirs was pebbly concrete, mine were of stout timber. They saw a 45° in turn at the top, laced with barbed wire angled to keep them in. Whilst mine was topped with razor-like spikes. We could both see through, to gain a view of the possibilities that lay beyond the barrier, but neither of us could find the gate. We both felt unable to reach the other side.

Just three little words conjured up vivid images of how it felt to be unable to see or take the next step. Interesting huh?

If you close your eyes now and visualise the perimeter of your ability, what do you see?

Is the perimeter high? Is it solid? Does it have gaps that you can see through and if you can see through what lies on the other side? Can you find the gate or is there a hatch? Is there a large sliding door? Maybe if you have perimeter of your ability is merely a rope like one of those red silk ropes you would find in a gallery to keep the hoards from touching the art.

I’m sure for some of us that the perimeter looks like a low wall, maybe no wall, or possibly even a ha-ha. Maybe it’s a stream or perhaps a red carpet with a Doorman to whom you just have to show your golden ticket to be permitted onwards into the realm of possibility.

But what can you do when you find yourself at the perimeter fence staring through the gaps?

I find it helpful to ‘see’ how I perceive my limits, since then I can invite my subconscious to get creative around possible solutions. Switching to a Puzzle solving mindset rather than a Problem mindet is a great place to start. 

Get curious- ask yourself what are the possible ways of reaching beyond your perimeter? Do you know someone who’s already achieved what you’re on the verge of doing? Use their experience as a map to guide you through.

Ask for help – can you outsource the problem to someone with the skills and resources? If budget is your stumbling block sometimes talking it through with a trusted friend of colleague can bring new insight. This is particularly true when you take the problem outside of the four walls you’re usually in so got for a walk or meet for a coffee – just change the environment.

Question whether there is a simpler solution – sometimes we pick a complex path to achieve a goal, but in reality there may be a (less beautiful perhaps) simpler route through.

I’d love to know what tools you use when you’ve reached the perimeter of your ability. Let me know!